Please quote everything underneath with every line break kept.

The following is a DFT calculation (PBE) of a relaxed structure of Li4Ga3Si3BrO12.

Calculated values
MP2020-corrected energy ... -0.49828 Ry per atom
ΔE_f ... -5974 kJ/mol of formula units
Maximum piezoelectric response ... 0.13 C/m2

```
data_Li4Ga3Si3BrO12
_space_group_name_H-M_alt 'P -4 3 n'
_space_group_IT_number 218
_space_group_name_Hall 'P -4n 2 3'
_cell_length_a 8.653
_cell_length_b 8.653
_cell_length_c 8.653
_cell_angle_alpha 90.00
_cell_angle_beta 90.00
_cell_angle_gamma 90.00
loop_
_atom_site_label
_atom_site_type_symbol
_atom_site_fract_x
_atom_site_fract_y
_atom_site_fract_z
Li1 Li 0.179 0.179 0.179
Ga1 Ga 0.000 0.250 0.500
Si1 Si 0.000 0.500 0.250
Br1 Br 0.000 0.000 0.000
O1 O 0.096 0.372 0.647
```



The following is a DFT calculation (PBE) of a relaxed structure of Na3GaBr6.

Calculated values
MP2020-corrected energy ... -0.22751 Ry per atom
ΔE_f ... -1364 kJ/mol of formula units

```
data_Na3GaBr6
_space_group_name_H-M_alt 'F m -3 m'
_space_group_IT_number 225
_space_group_name_Hall '-F 4 2 3'
_cell_length_a 10.811
_cell_length_b 10.811
_cell_length_c 10.811
_cell_angle_alpha 90.00
_cell_angle_beta 90.00
_cell_angle_gamma 90.00
loop_
_atom_site_label
_atom_site_type_symbol
_atom_site_fract_x
_atom_site_fract_y
_atom_site_fract_z
Na1 Na 0.000 0.000 0.000
Na2 Na 0.250 0.250 0.250
Ga1 Ga 0.000 0.000 0.500
Br1 Br 0.000 0.000 0.264
```



The following is a DFT calculation (PBE) of a relaxed structure of Ga2PdBr8.

Calculated values
MP2020-corrected energy ... -0.24352 Ry per atom
ΔE_f ... -1169 kJ/mol of formula units

```
data_Ga2PdBr8
_space_group_name_H-M_alt 'C 1 2/m 1'
_space_group_IT_number 12
_space_group_name_Hall '-C 2y'
_cell_length_a 13.323
_cell_length_b 8.830
_cell_length_c 7.763
_cell_angle_alpha 90.00
_cell_angle_beta 98.80
_cell_angle_gamma 90.00
loop_
_atom_site_label
_atom_site_type_symbol
_atom_site_fract_x
_atom_site_fract_y
_atom_site_fract_z
Ga1 Ga 0.212 0.000 0.330
Pd1 Pd 0.000 0.000 0.000
Br1 Br 0.111 0.196 0.155
Br2 Br 0.121 0.500 0.712
Br3 Br 0.180 0.000 0.614
```



The following is a DFT calculation (PBE) of a relaxed structure of GaSeBr7.

Calculated values
MP2020-corrected energy ... -0.21290 Ry per atom
ΔE_f ... -780 kJ/mol of formula units
Maximum piezoelectric response ... 0.77 C/m2

```
data_GaSeBr7
_space_group_name_H-M_alt 'P 1 c 1'
_space_group_IT_number 7
_space_group_name_Hall 'P -2yc'
_cell_length_a 7.007
_cell_length_b 6.773
_cell_length_c 15.313

The following is a DFT calculation (PBE) of a relaxed structure of Li4Ga3Si3BrO12.

Calculated values
MP2020-corrected energy ... -0.49828 Ry per atom
ΔE_f ... -5974 kJ/mol of formula units
Maximum piezoelectric response ... 0.13 C/m2

```
data_Li4Ga3Si3BrO12
_space_group_name_H-M_alt 'P -4 3 n'
_space_group_IT_number 218
_space_group_name_Hall 'P -4n 2 3'
_cell_length_a 8.653
_cell_length_b 8.653
_cell_length_c 8.653
_cell_angle_alpha 90.00
_cell_angle_beta 90.00
_cell_angle_gamma 90.00
loop_
_atom_site_label
_atom_site_type_symbol
_atom_site_fract_x
_atom_site_fract_y
_atom_site_fract_z
Li1 Li 0.179 0.179 0.179
Ga1 Ga 0.000 0.250 0.500
Si1 Si 0.000 0.500 0.250
Br1 Br 0.000 0.000 0.000
O1 O 0.096 0.372 0.647
```



The following is a DFT calculation (PBE) of a relaxed structure of Na3GaBr6.

Calculated values
MP2020-corrected energy ... -0.22751 Ry per atom
ΔE_f ... -1364 kJ/mol of formula units

```
data_Na3GaBr6
_space_group_name_H-M_alt 'F m -3 m'
_space_group_IT_number 225
_space_group_name_Hall '-F 4 2 3'
_cell_length_a 10.811
_cell_length_b 10.811
_cell_length_c 10.811
_cell_angle_alpha 90.00
_cell_angle_beta 90.00
_cell_angle_gamma 90.00
loop_
_atom_site_label
_atom_site_type_symbol
_atom_site_fract_x
_atom_site_fract_y
_atom_site_fract_z
Na1 Na 0.000 0.000 0.000
Na2 Na 0.250 0.250 0.250
Ga1 Ga 0.000 0.000 0.500
Br1 Br 0.000 0.000 0.264
```



The following is a DFT calculation (PBE) of a relaxed structure of Ga2PdBr8.

Calculated values
MP2020-corrected energy ... -0.24352 Ry per atom
ΔE_f ... -1169 kJ/mol of formula units

```
data_Ga2PdBr8
_space_group_name_H-M_alt 'C 1 2/m 1'
_space_group_IT_number 12
_space_group_name_Hall '-C 2y'
_cell_length_a 13.323
_cell_length_b 8.830
_cell_length_c 7.763
_cell_angle_alpha 90.00
_cell_angle_beta 98.80
_cell_angle_gamma 90.00
loop_
_atom_site_label
_atom_site_type_symbol
_atom_site_fract_x
_atom_site_fract_y
_atom_site_fract_z
Ga1 Ga 0.212 0.000 0.330
Pd1 Pd 0.000 0.000 0.000
Br1 Br 0.111 0.196 0.155
Br2 Br 0.121 0.500 0.712
Br3 Br 0.180 0.000 0.614
```



The following is a DFT calculation (PBE) of a relaxed structure of GaSeBr7.

Calculated values
MP2020-corrected energy ... -0.21290 Ry per atom
ΔE_f ... -780 kJ/mol of formula units
Maximum piezoelectric response ... 0.77 C/m2

```
data_GaSeBr7
_space_group_name_H-M_alt 'P 1 c 1'
_space_group_IT_number 7
_space_group_name_Hall 'P -2yc'
_cell_length_a 7.007
_cell_length_b 6.773
_cell_length_c 15.313